

CNHA Certification

  • Interested in becoming a Certified New Hampshire Assessor (CNHA)? The Association encourages all those in the New Hampshire assessing profession to work towards and obtain this most valuable and recognized Certification. Here's what's needed to qualify:


    A. Applicant must have successful completion of the following courses: *

    1. IAAO Course I, or equivalent

    2. IAAO Course II, or equivalent

    3. IAAO Course 300 (Series, Mass Appraisal)

    4. IAAO Course 400 (Adopted 4/13/2010) (Effective 1/1/2011)

    5. IAAO Course 452 (Adopted 2022)

    6. USPAP 15 Hours (Adopted 9/1/01)

    7. NHAAO/DRA State Statutes Part I and Part II – taken within last 5 years, or 1 day update will be required (Adopted 9/1/01 – Revised 4/1/2010)

    B. DRA Certification as Assessor or Supervisor.

    C. At least four (4) years full time experience in the appraisal, as defined by USPAP, of various types of real estate – one (1) of which will be experience in the assessing function; i.e., abatements, accurately measuring and listing properties for building permits, or sales, cyclical inspection program, working with exemptions, credits, timber cuts, excavation permits, and current use.

    D. Application for certification must be accompanied with all of the above documentation.

    E. Applicant must supply current resume with work experience and classes.

    F. Applicant must be a member in good standing of NHAAO (regular or associate).

    G. Application fee of $100.00 is required before exam can be taken.

    1. If second exam is needed there is a $25.00 exam fee, with a minimum 30 day waiting period.

    2. If third exam is needed, 1 year minimum waiting period from second exam is required and fee of $25.00

    H. Exam must be proctored by a Certified NH Assessor (CNHA).

    I. Applicant must receive a minimum grade of 70 (the grade is confidential between examinee and grader). Exam is on a pass/fail basis.

    * All courses are classroom participation or live online, no pre-recorded computer classes are accepted.

    REV: 1992, 1996, 2001, 2006, 2010, 2020, 2022

    Download the CNHA Certification Application here

  • The Certification Committee shall maintain a list of all individuals granted the “Certified New Hampshire Assessor” designation, and their current certification status.

    The designation is reviewed through the re-certification program as stated below.

    A. Re-certification cycle is every 5 years from the original date of issue. Each cycle requires 50 credit hours of continuing education by the CNHA to meet the recertification requirements. The recertification maintenance fee of $25.00 (effective as of 1/1/93) is due prior to issuance of the recertification date seal.

    B. Documentation of attendance at a USPAP (initial or update) course and NHAAO/DRA State Statutes course (full course or update) once every five years as required for recertification.

    C. All existing CNHA’S shall be required to provide documentation of attendance or certificate of successfully completing an IAAO 400 course or equivalent by January 1, 2016.

(These records of crystals were left in the entry by mistake)
<<<
(1)
Computed powder diffraction line list
Compound: TbYZr
Radiation: Cu Kα (weighted mean of Kα1 and Kα2)
Structure: DFT lattice parameters and positions (PBE)
Peak positions follow from Bragg's law for the DFT cell and can differ from measured ones.

Main lines, low angle first (2θ = 15–90°):
2θ = 25.68°, rel. 15
2θ = 32.26°, rel. 88
2θ = 33.56°, rel. 100
2θ = 42.73°, rel. 23
2θ = 47.24°, rel. 30
2θ = 59.19°, rel. 30
2θ = 60.01°, rel. 18
2θ = 64.01°, rel. 29
2θ = 79.70°, rel. 12
2θ = 83.99°, rel. 14

Structural model:
```
6
Lattice="5.3405 0.0000 0.0000 -2.6703 4.6250 0.0000 0.0000 0.0000 6.9376" Properties=species:S:1:pos:R:3 pbc="T T T"
Tb 0.0000 3.0833 0.0000
Tb 2.6703 1.5417 0.0000
Y 0.0000 0.0000 1.8372
Y 0.0000 0.0000 5.1004
Zr 0.0000 3.0833 3.4688
Zr 2.6703 1.5417 3.4688
```

=====

(2)
Computed powder diffraction line list
Compound: Tb6Y3Zr
Radiation: Cu Kα (weighted mean of Kα1 and Kα2)
Structure: DFT lattice parameters and positions (PBE)
Peak positions follow from Bragg's law for the DFT cell and can differ from measured ones.

Main lines, low angle first (2θ = 15–90°):
2θ = 21.93°, rel. 20
2θ = 28.54°, rel. 62
2θ = 30.64°, rel. 100
2θ = 33.15°, rel. 39
2θ = 36.28°, rel. 81
2θ = 36.55°, rel. 39
2θ = 44.72°, rel. 23
2θ = 50.17°, rel. 24
2θ = 59.07°, rel. 20
2θ = 64.77°, rel. 43

Structural model:
```
20
Lattice="4.9172 0.0000 0.0000 0.0000 11.4642 0.0000 -0.0078 0.0000 11.4648" Properties=species:S:1:pos:R:3 pbc="T T T"
Tb 4.9132 0.0770 2.4640
Tb -0.0071 2.4609 11.3881
Tb -0.0032 3.2712 5.6557
Tb 4.9094 5.6551 8.1964
Tb 0.0001 5.8091 3.2684
Tb 4.9126 8.1930 5.8092
Tb 4.9165 9.0033 0.0767
Tb -0.0038 11.3872 9.0008
Tb 2.4548 1.6446 4.0894
Tb 2.4509 4.0875 9.8218
Tb 2.4585 7.3767 1.6430
Tb 2.4546 9.8196 7.3754
Y 2.4586 0.0000 0.0000
Y 2.4558 1.7367 7.4668
Y 2.4597 3.9954 1.7344
Y 2.4547 5.7321 5.7324
Y 2.4497 7.4688 9.7304
Y 2.4536 9.7275 3.9980
Zr -0.0039 0.0000 5.7324
Zr 0.0000 5.7321 0.0000
```

=====

(3)
Computed powder diffraction line list
Compound: Tb2Zn3
Radiation: Cu Kα (weighted mean of Kα1 and Kα2)
Structure: DFT lattice parameters and positions (PBE)
Peak positions follow from Bragg's law for the DFT cell and can differ from measured ones.

Main lines, low angle first (2θ = 15–90°):
2θ = 23.80°, rel. 27
2θ = 33.53°, rel. 100
2θ = 34.16°, rel. 61
2θ = 38.91°, rel. 51
2θ = 40.18°, rel. 33
2θ = 51.03°, rel. 16
2θ = 53.74°, rel. 33
2θ = 65.98°, rel. 21
2θ = 66.87°, rel. 14
2θ = 72.22°, rel. 17

Structural model:
```
10
Lattice="1.7896 -13.5085 0.0000 1.7896 13.5085 0.0000 0.0000 0.0000 4.4884" Properties=species:S:1:pos:R:3 pbc="T T T"
Tb 1.7896 11.5564 3.3663
Tb 1.7896 7.8601 1.1221
Tb 1.7896 -7.8601 3.3663
Tb 1.7896 -11.5564 1.1221
Zn 1.7896 4.5999 1.1221
Zn 1.7896 3.1814 3.3663
Zn 1.7896 0.6253 3.3663
Zn 1.7896 -0.6253 1.1221
Zn 1.7896 -3.1814 1.1221
Zn 1.7896 -4.5999 3.3663
```

=====

(4)
Computed powder diffraction line list
Compound: Tb3Zn11
Radiation: Cu Kα (weighted mean of Kα1 and Kα2)
>>>
(So much for the records of crystals)

    D. Any request for extensions shall be made in writing to the certification committee along with the reason for the request. Extensions shall not be granted for longer than 6 months. Any continuing education hours earned during the period of the extension shall not be applied to continuing educational hours for the certification period overlapped by the extension.

    Credit hours will be attained in the following manner.


    1. For documented attendance at seminars, conferences, association meetings, workshops and approved assessment related courses.

    2. For documented successful completion of examinations associated with approved assessment related courses.

Materials data, as found in the file
~~~
# 1
Diffraction record for Sr2FeN2. The PXRD pattern is computed, not measured: it uses a DFT-relaxed cell (GGA-PBE, the Materials Project) and Cu Kα X-rays.

The 6 most intense peaks (15° ≤ 2θ ≤ 90°), by intensity:
31.3 deg, I 100
31.9 deg, I 56
30.0 deg, I 45
33.8 deg, I 44
30.2 deg, I 40
40.6 deg, I 25

Structural model:
```
data_Sr2FeN2
_cell_length_a 6.5519
_cell_length_b 8.6672
_cell_length_c 8.8904
_cell_angle_alpha 90.13
_cell_angle_beta 109.55
_cell_angle_gamma 102.25
_symmetry_space_group_name_H-M 'P -1'
_symmetry_Int_Tables_number 2
_symmetry_space_group_name_Hall '-P 1'
loop_
_atom_site_label
_atom_site_fract_x
_atom_site_fract_y
_atom_site_fract_z
Sr1 0.1093 0.3492 0.1801
Sr2 0.1438 0.3645 0.6431
Sr3 0.2307 0.0654 0.9351
Sr4 0.3694 0.7979 0.2674
Sr5 0.3825 0.8021 0.6678
Fe1 0.1005 0.0296 0.4079
Fe2 0.4139 0.6072 0.9794
Fe3 0.5000 0.5000 0.5000
N1 0.1977 0.0564 0.2387
N2 0.2001 0.0596 0.6316
N3 0.2382 0.5690 0.4312
N4 0.2937 0.3936 0.9592
N5 0.3210 0.7863 0.9555
```


# 2
Diffraction record for Sr3Fe2N4. The PXRD pattern is computed, not measured: it uses a DFT-relaxed cell (GGA-PBE, the Materials Project) and Cu Kα X-rays.

The 6 most intense peaks (15° ≤ 2θ ≤ 90°), by intensity:
31.6 deg, I 100
29.7 deg, I 62
34.6 deg, I 38
42.3 deg, I 32
41.7 deg, I 29
42.0 deg, I 26

Structural model:
```
data_Sr3Fe2N4
_cell_length_a 11.2220
_cell_length_b 8.6029
_cell_length_c 5.5039
_cell_angle_alpha 90.00
_cell_angle_beta 94.68
_cell_angle_gamma 90.00
_symmetry_space_group_name_H-M 'C 1 2/c 1'
_symmetry_Int_Tables_number 15
_symmetry_space_group_name_Hall '-C 2yc'
loop_
_atom_site_label
_atom_site_fract_x
_atom_site_fract_y
_atom_site_fract_z
Sr1 0.0000 0.0964 0.2500
Sr2 0.1255 0.3655 0.5559
Fe1 0.2099 0.1267 0.9277
N1 0.1275 0.3109 0.0289
N2 0.1780 0.0529 0.6111
```


# 3
Diffraction record for Sr3Fe3N5. The PXRD pattern is computed, not measured: it uses a DFT-relaxed cell (GGA-PBE, the Materials Project) and Cu Kα X-rays.

The 6 most intense peaks (15° ≤ 2θ ≤ 90°), by intensity:
34.2 deg, I 100
32.8 deg, I 95
32.5 deg, I 75
29.9 deg, I 61
34.3 deg, I 53
38.6 deg, I 40

Structural model:
```
data_Sr3Fe3N5
_cell_length_a 5.5732
_cell_length_b 7.1418
_cell_length_c 8.5190
_cell_angle_alpha 108.65
_cell_angle_beta 102.78
_cell_angle_gamma 95.73
_symmetry_space_group_name_H-M 'P -1'
_symmetry_Int_Tables_number 2
_symmetry_space_group_name_Hall '-P 1'
loop_
_atom_site_label
_atom_site_fract_x
_atom_site_fract_y
_atom_site_fract_z
Sr1 0.1603 0.1797 0.2111
Sr2 0.1608 0.3608 0.8747
Sr3 0.3142 0.9160 0.6112
Fe1 0.1767 0.4630 0.5745
Fe2 0.4099 0.6090 0.2943
Fe3 0.4108 0.8219 0.9777
N1 0.1464 0.5549 0.3872
N2 0.2608 0.0293 0.9199
N3 0.2983 0.2227 0.5330
N4 0.3350 0.7237 0.1317
N5 0.4193 0.6189 0.7808
```


# 4
Diffraction record for Ta4Fe2N. The PXRD pattern is computed, not measured: it uses a DFT-relaxed cell (GGA-PBE, the Materials Project) and Cu Kα X-rays.

The 6 most intense peaks (15° ≤ 2θ ≤ 90°), by intensity:
40.3 deg, I 100
37.9 deg, I 49
~~~

    3. For documented instructorship of approved assessment related courses.


    The courses presently recognized as approved assessment related courses are:

    1. NHAAO/DRA courses

    2. IAAO affiliated courses

'''
The following is a simulated powder XRD pattern of V2Ni3O8. It was derived from a GGA+U-relaxed structure, using copper Kα.
Kinematic intensities with the Lorentz-polarization factor, no thermal factor.

Peak list (10 most intense, 2θ = 10–90°, in order of falling intensity)
| 2theta | d_spacing | I (rel.) |
| --- | --- | --- |
| 35.37 | 2.537 | 100.0 |
| 63.08 | 1.474 | 65.7 |
| 29.57 | 3.021 | 61.1 |
| 35.81 | 2.508 | 53.0 |
| 43.35 | 2.087 | 39.1 |
| 43.50 | 2.081 | 33.3 |
| 27.13 | 3.287 | 33.2 |
| 18.69 | 4.749 | 24.7 |
| 30.98 | 2.886 | 24.6 |
| 36.41 | 2.467 | 24.2 |

Cell and atoms:
Cell: 6.506 6.506 8.352 Å, 90.00 90.00 125.05°
Fractional positions:
1 V 0.123 0.877 0.881
2 V 0.377 0.623 0.381
3 V 0.623 0.377 0.619
4 V 0.877 0.123 0.119
5 Ni 0.000 0.000 0.500
6 Ni 0.119 0.381 0.750
7 Ni 0.381 0.119 0.250
8 Ni 0.500 0.500 0.000
9 Ni 0.619 0.881 0.750
10 Ni 0.881 0.619 0.250
11 O 0.000 0.000 0.255
12 O 0.000 0.000 0.745
13 O 0.116 0.353 0.998
14 O 0.147 0.384 0.502
15 O 0.248 0.752 0.271
16 O 0.252 0.748 0.771
17 O 0.353 0.116 0.002
18 O 0.384 0.147 0.498
19 O 0.500 0.500 0.245
20 O 0.500 0.500 0.755
21 O 0.616 0.853 0.502
22 O 0.647 0.884 0.998
23 O 0.748 0.252 0.229
24 O 0.752 0.248 0.729
25 O 0.853 0.616 0.498
26 O 0.884 0.647 0.002

=====

# 1
Si7Tc4: calculated powder diffraction line list (Cu Ka), based on DFT lattice parameters and positions (PBE).
Lines closer than 0.1° are merged.

Top 10 peaks for 2θ = 10–90°, in order of falling intensity:
2θ = 40.2°, I 100; 2θ = 24.9°, I 77; 2θ = 45.7°, I 60; 2θ = 31.0°, I 42; 2θ = 51.6°, I 37; 2θ = 44.4°, I 36; 2θ = 65.6°, I 23; 2θ = 73.4°, I 16; 2θ = 82.7°, I 15; 2θ = 70.4°, I 14

Structure:
```
Si7Tc4
1.0
5.770 0.000 0.000
0.000 5.770 0.000
0.000 0.000 18.179
Si Tc
28 16
Cartesian
0.870 1.118 2.079 Si
0.870 4.653 11.169 Si
0.883 1.893 14.844 Si
0.883 3.877 5.754 Si
1.118 0.870 7.010 Si
1.118 4.900 16.100 Si
1.319 2.011 9.810 Si
1.319 3.759 0.721 Si
1.893 0.883 12.425 Si
1.893 4.887 3.335 Si
1.963 1.963 4.545 Si
1.963 3.807 13.634 Si
2.011 1.319 17.458 Si
2.011 4.451 8.369 Si
3.759 1.319 8.369 Si
3.759 4.451 17.458 Si
3.807 1.963 13.634 Si
3.807 3.807 4.545 Si
3.877 0.883 3.335 Si
3.877 4.887 12.425 Si
4.451 2.011 0.721 Si
4.451 3.759 9.810 Si
4.653 0.870 16.100 Si
4.653 4.900 7.010 Si
4.887 1.893 5.754 Si
4.887 3.877 14.844 Si
4.900 1.118 11.169 Si
4.900 4.653 2.079 Si
0.000 0.000 0.000 Tc
0.000 0.000 4.545 Tc
0.000 0.000 9.089 Tc
0.000 0.000 13.634 Tc
0.000 2.885 3.499 Tc
0.000 2.885 7.911 Tc
0.000 2.885 12.588 Tc
0.000 2.885 17.001 Tc
2.885 0.000 1.178 Tc
2.885 0.000 5.590 Tc
2.885 0.000 10.268 Tc
2.885 0.000 14.680 Tc
2.885 2.885 2.370 Tc
2.885 2.885 6.720 Tc
2.885 2.885 11.459 Tc
2.885 2.885 15.809 Tc
```

***

# 2
SiTc4: calculated powder diffraction line list (Cu Ka), based on DFT lattice parameters and positions (PBE).
Lines closer than 0.1° are merged.

Top 10 peaks for 2θ = 10–90°, in order of falling intensity:
'''

    3. DRA Mini courses

    4. Marshall/Swift Valuation Services

    Other approved assessment related courses not specifically addressed here may be approved at the discretion of the Certification Committee. Approved online courses will be accepted for recertification credits only. Acceptable documentation of those courses subject to approval by the Certification Committee must accompany the written request for consideration, i.e. description, credit hours, hours attended, and if a final exam is required.


    Credit hours will be awarded as follows:

    1. Credit hours equal to the number of documented hours of attendance per sixty (60) month re-certification cycle. (1 hour = 1 credit)

    2. Five (5) credit hours for the successful passing of an exam with no attendance per sixty (60) month re-certification cycle.

    3. Instructors shall receive full credit for hours taught only once during a re-certification cycle for teaching the same course.

    NHAAO monthly meeting with speaker equals one-hour credit for speaker attendance.


    This procedure is to be consistent with IAAO Policy. Auditing a course is not an acceptable manner in which to obtain credit hours for certification.


    CNHA certification status classification is as follows:

    Active: Currently meets all requirements and is accepted as a member in good standing.

    On Notice: Has reached the end of a re-certification cycle and has not yet documented the proper credit hours and has been notified of such.

    Inactive: The individual is no longer considered certified as a New Hampshire Assessor. The loss of the certification may be a result of not meeting the recertification requirements or other nonconforming issues.

    Retired: To qualify for retired Status, the CNHA must:

    1. Be at least 60 years of age

    2. Be a member in good standing, of the NHAAO for at least 10 consecutive years

    3. Be certified for 10 consecutive years in the NHAAO Certification Program.

    Adopted 1997
    Amended February 1999
    Amended January 2006
    Amended April 2010

  • Click here to download the CNHA application.

    • The ACAB is a 3-member board overseen by the NH OPLC (Office of Professional Licensure and Certification).

    • Follow this link to the ACAB meeting schedule.

    • For more about the ACAB and the certification/recertification of Assessors, visit the OPLC home page here.